
Scientific work combined with working with people is the formula of success in nature conservation

[Someone pasted crystal structures at this point]
=====
Entry 1:
Diffraction record for Pm2TcGe5. The powder X-ray diffraction pattern is computed, not measured: it uses a crystal structure in Alexandria, relaxed with GGA-PBE and CuKα.
Intensities are scaled so that the largest is 1000.

Principal peaks in the range 10 to 90 degrees two-theta, in order of falling intensity:
2θ (°), I (rel.), index
35.30, 1000, 2 0 2
28.48, 714, 1 1 2
41.53, 566, 2 2 0
58.94, 355, 2 2 4
39.88, 334, 0 0 4
34.07, 218, 2 1 1
51.13, 193, 3 1 2
71.74, 162, 4 2 2
60.19, 157, 4 0 0
17.44, 156, 1 0 1

Structure:
Lattice parameters (Å, degrees): 6.1498 6.1498 9.0414 90.00 90.00 90.00
Space group I4mm (No. 107)
Unique sites:
1 Pm 0.0000 0.5000 0.0000 [4 per cell]
2 Tc 0.0000 0.0000 0.2749 [2 per cell]
3 Ge 0.0000 0.0000 0.5416 [2 per cell]
4 Ge 0.2137 0.2137 0.7561 [8 per cell]

Entry 2:
Diffraction record for BaTa2Mn. The powder X-ray diffraction pattern is computed, not measured: it uses a crystal structure in Alexandria, relaxed with GGA-PBE and CuKα.
Intensities are scaled so that the largest is 1000.

Principal peaks in the range 10 to 90 degrees two-theta, in order of falling intensity:
2θ (°), I (rel.), index
32.67, 1000, 1 1 1
13.24, 898, 0 0 1
41.29, 668, 3 1 -1
30.70, 445, 2 0 -2
26.65, 359, 0 0 2
39.32, 347, 4 0 0
51.84, 264, 1 1 3
25.11, 211, 2 0 1
40.85, 211, 1 1 2
55.05, 159, 3 1 -3

Structure:
Lattice parameters (Å, degrees): 9.2648 3.2609 6.7617 90.00 98.43 90.00
Space group Cm (No. 8)
Unique sites:
1 Ba 0.0000 0.0000 0.0000 [2 per cell]
2 Ta 0.2126 0.0000 0.6206 [2 per cell]
3 Ta 0.4709 0.0000 0.4689 [2 per cell]
4 Mn 0.2508 0.5000 0.3649 [2 per cell]

Entry 3:
Diffraction record for Pm5TmSn4. The powder X-ray diffraction pattern is computed, not measured: it uses a crystal structure in Alexandria, relaxed with GGA-PBE and CuKα.
Intensities are scaled so that the largest is 1000.

Principal peaks in the range 10 to 90 degrees two-theta, in order of falling intensity:
2θ (°), I (rel.), index
33.89, 1000, 3 1 -2
34.20, 974, 3 1 2
32.66, 547, 6 0 0
33.41, 522, 0 2 0
47.42, 390, 6 2 0
61.78, 264, 0 2 4
23.20, 247, 3 1 0
58.88, 199, 9 1 -2
60.03, 196, 3 3 -2
60.22, 194, 3 3 2

Structure:
Lattice parameters (Å, degrees): 16.4533 5.3639 7.2464 90.00 90.71 90.00
Space group C2/m (No. 12)
Unique sites:
1 Pm 0.0000 0.0000 0.0000 [2 per cell]
2 Pm 0.1656 0.5000 0.9974 [4 per cell]
3 Pm 0.1668 0.5000 0.5063 [4 per cell]
4 Tm 0.0000 0.0000 0.5000 [2 per cell]
5 Sn 0.0077 0.5000 0.2575 [4 per cell]
6 Sn 0.1735 0.0000 0.7483 [4 per cell]
=====

Location: Ljubljana – Slovenia,
Story by: Alexandra & Tomaž Skrbinšek

© Aleksandra Majić Skrbinšek, Tomaž Skrbinšek


Aleksandra Majić Skrbinšek and Tomaž Skrbinšek are scientists living and working together in Ljubljana, at the Biology Department of Biotechnical Faculty, University of Ljubljana. For almost 20 years, the focus of their studies has been large carnivore populations and their protection in the narrow, highly populated European Continent.

• Here the text breaks off for data records:
........
The following is a calculated X-ray powder pattern of UPb2. It was derived from a PBE-relaxed structure, using Cu Kα (λ = 1.5418 Å).

Top 10 peaks for 2θ = 10–80°, by intensity:
31.52 deg, 2.839 Å, I = 100
32.72 deg, 2.737 Å, I = 96
37.12 deg, 2.422 Å, I = 44
32.10 deg, 2.788 Å, I = 38
33.38 deg, 2.684 Å, I = 35
30.29 deg, 2.951 Å, I = 24
49.32 deg, 1.848 Å, I = 24
41.56 deg, 2.173 Å, I = 22
58.44 deg, 1.579 Å, I = 20
29.25 deg, 3.054 Å, I = 19

Structure:
```
data_UPb2
_symmetry_space_group_name_H-M 'P 1'
_symmetry_Int_Tables_number 1
_cell_length_a 3.7240
_cell_length_b 5.4840
_cell_length_c 8.7282
_cell_angle_alpha 78.39
_cell_angle_beta 83.25
_cell_angle_gamma 86.56
loop_
_symmetry_equiv_pos_as_xyz
'x,y,z'
loop_
_atom_site_label
_atom_site_type_symbol
_atom_site_fract_x
_atom_site_fract_y
_atom_site_fract_z
U1 U 0.2443 0.1535 0.4730
U2 U 0.7557 0.8465 0.5270
Pb1 Pb 0.1498 0.7858 0.8634
Pb2 Pb 0.3526 0.7060 0.2367
Pb3 Pb 0.6474 0.2940 0.7633
Pb4 Pb 0.8502 0.2142 0.1366
```

=====

The following is a calculated X-ray powder pattern of UPb2. It was derived from a PBE-relaxed structure, using Cu Kα (λ = 1.5418 Å).

Top 10 peaks for 2θ = 10–80°, by intensity:
29.14 deg, 3.064 Å, I = 100
31.63 deg, 2.828 Å, I = 71
41.42 deg, 2.180 Å, I = 60
24.05 deg, 3.700 Å, I = 54
28.78 deg, 3.102 Å, I = 53
37.99 deg, 2.369 Å, I = 47
31.80 deg, 2.814 Å, I = 36
41.68 deg, 2.167 Å, I = 29
23.84 deg, 3.733 Å, I = 26
51.44 deg, 1.776 Å, I = 25

Structure:
```
data_UPb2
_symmetry_space_group_name_H-M 'P 1'
_symmetry_Int_Tables_number 1
_cell_length_a 8.7212
_cell_length_b 8.7212
_cell_length_c 8.7212
_cell_angle_alpha 120.41
_cell_angle_beta 120.41
_cell_angle_gamma 89.29
loop_
_symmetry_equiv_pos_as_xyz
'x,y,z'
loop_
_atom_site_label
_atom_site_type_symbol
_atom_site_fract_x
_atom_site_fract_y
_atom_site_fract_z
U1 U 0.0000 0.0000 0.0000
U2 U 0.0000 0.0000 0.5000
U3 U 0.0000 0.5000 0.0000
U4 U 0.5000 0.0000 0.5000
Pb1 Pb 0.2773 0.3335 0.5561
Pb2 Pb 0.2773 0.7212 0.9439
Pb3 Pb 0.2788 0.7227 0.5561
Pb4 Pb 0.3335 0.2773 0.0561
Pb5 Pb 0.6665 0.7227 0.9439
Pb6 Pb 0.7212 0.2773 0.4439
Pb7 Pb 0.7227 0.2788 0.0561
Pb8 Pb 0.7227 0.6665 0.4439
```

=====

The following is a calculated X-ray powder pattern of UPb3. It was derived from a PBE-relaxed structure, using Cu Kα (λ = 1.5418 Å).

Top 6 peaks for 2θ = 10–80°, by intensity:
32.03 deg, 2.794 Å, I = 100
37.16 deg, 2.420 Å, I = 51
63.79 deg, 1.459 Å, I = 44
53.56 deg, 1.711 Å, I = 36
66.99 deg, 1.397 Å, I = 13
79.17 deg, 1.210 Å, I = 6

Structure:
```
data_UPb3
_symmetry_space_group_name_H-M 'P 1'
_symmetry_Int_Tables_number 1
_cell_length_a 4.8392
_cell_length_b 4.8392
_cell_length_c 4.8392
_cell_angle_alpha 90.00
_cell_angle_beta 90.00
_cell_angle_gamma 90.00
loop_
_symmetry_equiv_pos_as_xyz
'x,y,z'
loop_
_atom_site_label
_atom_site_type_symbol
_atom_site_fract_x
_atom_site_fract_y
_atom_site_fract_z
U1 U 0.0000 0.0000 0.0000
Pb1 Pb 0.0000 0.5000 0.5000
Pb2 Pb 0.5000 0.0000 0.5000
Pb3 Pb 0.5000 0.5000 0.0000
```

=====
........
• Here the text continues:


We both started as veterinary medicine students who loved animals, but soon we realized it is not the medicinal part of our studies that interest us the most, but the ecology of wild animals. We met in Budapest as students and we traveled a lot together, through Asia and New Zealand where we got involved in a study of a species of seals. There we were sure that wild animals and their ecology interest us far more than the domestic ones.

Tomaž’s first job was with wild cats, at the university of Ljubljana where we both now work. Once his team caught a lynx and put a telemetry collar on it, so Tomaž decided to do his master thesis on lynx. Since no one knew much about lynx at that time, it took them more than two years of strolling around the woods in the snow until they got a grip on how to catch lynx and get some reliable data. During that time, Tomaž was working as a translator and doing scientific research as a hobby, for some 5 years. But then he got a chance to actually get paid for scientific work – it was a bear genetics project in 2004. That’s how he entered the field of genetics and molecular ecology, and switched the woods for a laboratory. Now it’s less woods and laboratory, and more computer and research work, but the job is still very interesting and fulfilling.

Aleksandra had a chance to work in Canada, where everything is different than in Europe. There is still enough wilderness, so that wild animals can live in their natural habitat, while people live in a “tamer” environment. In Europe this is not the case. There is not enough untamed wilderness, so humans and large carnivores are condemned to live like room-mates in the narrow old continent. That is why Aleksandra has put scientific focus on this coexistence of humans and large carnivores, determined to make it work.

Ecological Hunting

“Hunting” for coexistence

Although hunters have often been perceived by the general (especially urban) public as the enemy of nature conservation, our experience has proved them to be on “our” side of the equation. This is especially the case in Slovenia, where  the economic side of the hunting is not as emphasized, as it is in most Western European countries. For nature conservation, the Slovenian model is far better. Slovenian hunters still refer to their association as an organization for nature protection, and are putting a great effort in maintaining the health of their hunting grounds and their game. In Slovenia, it was the hunters who first protected wolf and bear, even before the State did. And they were the ones who initiated the reintroduction of lynx in 1973. So nowadays it is simply wrong to say that hunters in general are to blame for inflicting damage to large carnivores. Of course, there are also hunters who consider large carnivores to be their competition especially in countries where hunting is primarily seen as a business and wolves are nothing but a nuisance. But still, our field research shows that both in Slovenia and Croatia, hunters are the ones with the widest knowledge about large carnivores and very often provide us scientists with invaluable information on their presence and behavior. They also help us to gather samples and catch animals for telemetric marking and research.. We can almost say that there are as many misconceptions about hunters as there are about wolves! That’s why we shouldn’t waste energy on moral disputes between hunters and so-called green activists. We are basically all on the same side and that’s how we should act. Hunting in itself is not in conflict with nature protection, it can even be a good conservation tool if used wisely. Instead of fighting, we should all cooperate and work together in management and preservation of our nature and those magnificent animals.


Our main professional interest and motivation is to contribute to finding effective solutions to conservation problems. In our 20 years of professional experience we have worked on different nature conservation and research projects, mainly in Slovenia and Croatia. Our focus has been mainly on large carnivores. While Tomaž’s main filed of work is genetics and molecular ecology, Aleksandra focused her studies on human dimensions of wildlife management, especially public participation in decision-making and studies of public attitudes towards large carnivore species.

In our 20 years’ work, we can note a significant progress in the attitude of people towards nature, but it is still difficult to be really optimistic. Most people still don’t see us humans as part of the natural world and most of their attitudes are still largely selfish. We don’t deeply understand how important Nature is for our own existence. Natural issues are still considered to be somewhat marginal, on the level of hobby or activism… It is difficult to understand that all of the pieces of the great ecological mosaic (one of them being also large carnivores) must fit into the picture to make it whole.

That’s why we believe that although it is important to educate people and raise their awareness, we also have to set some clear and firm rules. We need management plans, also for large carnivores, that tell people what to do and how to do it. We should also concentrate on developing green politics, no matter how hard they gain political points. We humans are still not really considering the consequences of our way of living, we are not asking ourselves: what kind of a world are we going to leave for our children?
We have to keep on trying, insisting, researching, teaching and reaching out to the public, as well as setting clear rules. There’s no other way to protect the world that we all live in.

Managing large carnivores comes down to managing conflicts

Keywords in managing any conflict are dialog and understanding. To understand, first we must learn – do the research, analyze results, draw conclusions. Then we have to focus our efforts on the people – create opportunities for dialogue in search of solutions. Most of the science we do is applicative, focused on conservation and management.

### Crystal structures, kept here for reference
(1)
Structure and computed XRD peak list of LiIr2O6 (a crystal structure in OQMD, relaxed with GGA-PBE; Cu Kα X-rays).
Kinematic intensities with the Lorentz-polarization factor, no thermal factor.

Largest 6 diffraction maxima, in order of falling intensity, 2θ from 10° to 90°:
2θ 19.47, d = 4.559 Å, rel. 100, (0 0 1)
2θ 20.34, d = 4.366 Å, rel. 39, (1 1 0)
2θ 34.53, d = 2.598 Å, rel. 34, (1 3 0)
2θ 42.71, d = 2.117 Å, rel. 30, (1 3 1)
2θ 24.19, d = 3.680 Å, rel. 27, (1 1 -1)
2θ 37.02, d = 2.428 Å, rel. 18, (1 3 -1)

Structural model:
Cell lengths 5.214, 9.142, 4.781 Å; angles 90.00, 107.65, 90.00 degrees
Space group C2 (No. 5)
Inequivalent atoms, fractional coordinates:
Li (0.000, 0.000, 0.000) [2 per cell]
Ir (0.000, 0.225, 0.500) [2 per cell]
Ir (0.000, 0.557, 0.500) [2 per cell]
O (0.186, 0.391, 0.731) [4 per cell]
O (0.238, 0.193, 0.263) [4 per cell]
O (0.249, 0.580, 0.272) [4 per cell]

(2)
Structure and computed XRD peak list of Li5IrO5 (a crystal structure in OQMD, relaxed with GGA-PBE; Cu Kα X-rays).
Kinematic intensities with the Lorentz-polarization factor, no thermal factor.

Largest 6 diffraction maxima, in order of falling intensity, 2θ from 10° to 90°:
2θ 16.02, d = 5.533 Å, rel. 100, (0 0 1)
2θ 25.18, d = 3.537 Å, rel. 77, (1 1 0)
2θ 20.84, d = 4.262 Å, rel. 54, (2 0 -1)
2θ 19.17, d = 4.629 Å, rel. 47, (2 0 0)
2θ 28.28, d = 3.155 Å, rel. 35, (1 1 -1)
2θ 31.60, d = 2.831 Å, rel. 26, (1 1 1)

Structural model:
Cell lengths 9.742, 3.827, 5.822 Å; angles 90.00, 108.12, 90.00 degrees
Space group C2/m (No. 12)
Inequivalent atoms, fractional coordinates:
Li (0.000, 0.000, 0.000) [2 per cell]
Li (0.197, 0.500, 0.358) [4 per cell]
Li (0.212, 0.500, 0.848) [4 per cell]
Ir (0.000, 0.000, 0.500) [2 per cell]
O (0.000, 0.500, 0.500) [2 per cell]
O (0.147, 0.000, 0.323) [4 per cell]
O (0.154, 0.000, 0.823) [4 per cell]

(3)
Structure and computed XRD peak list of Li7IrO6 (a crystal structure in OQMD, relaxed with GGA-PBE; Cu Kα X-rays).
Kinematic intensities with the Lorentz-polarization factor, no thermal factor.

Largest 6 diffraction maxima, in order of falling intensity, 2θ from 10° to 90°:
2θ 19.66, d = 4.517 Å, rel. 100, (1 0 1)
2θ 22.45, d = 3.960 Å, rel. 74, (0 1 2)
2θ 37.81, d = 2.380 Å, rel. 45, (1 1 3)
2θ 18.67, d = 4.752 Å, rel. 33, (0 0 3)
2θ 31.35, d = 2.853 Å, rel. 27, (1 0 4)
2θ 50.79, d = 1.798 Å, rel. 26, (1 1 6)

Structural model:
Cell lengths 5.4985, 5.4985, 14.2559 Å; angles 90.00, 90.00, 120.00 degrees
Space group R3 (No. 146, hexagonal axes)
Inequivalent atoms, fractional coordinates:
Li (0.0000, 0.0000, 0.0000) [3 per cell]
Li (0.0525, 0.7089, 0.8778) [9 per cell]
Li (0.0608, 0.3818, 0.1002) [9 per cell]
Ir (0.0000, 0.0000, 0.6560) [3 per cell]
O (0.0061, 0.2960, 0.5744) [9 per cell]
O (0.0162, 0.6328, 0.4036) [9 per cell]

(4)
Structure and computed XRD peak list of Li6Ir4O11 (a crystal structure in OQMD, relaxed with GGA-PBE; Cu Kα X-rays).
### End of the crystal structures

Living with bears

The bear has always been a hunted species, and controlled hunting is still one of the main measures for managing bear populations. Bears are big opportunists – they can survive on almost anything, they practically eat whatever they can find, are not as territorial as wolves – one bear does not exclude other bears from its territory. In densely populated areas of Europe it often means that  their populations  need to be controlled to keep their numbers within what can be tolerated by people.. When population control is discussed population size estimate is a crucial piece of information. One of our success stories is the genetic counting of bears in Slovenia. Until we had the genetic census for the first time, the main issue about bears in media was how many were there? It was only after the genetic estimate that these speculations became secondary and we could finally talk more about the real bear issues: coexistence, damages in agriculture, garbage, bees… things that really matter. Of course, it’s not just the number of bears that’s the issue; it’s also how they behave and how many opportunities they have to get into conflict with people. And how much of that people can tolerate. Management has to address all these issues but the size of the population is certainly one of the  basic parameters without which   the other issues have difficulties coming into focus. That’s why we have to count the bears regularly and control their population in order to have a healthy bear population and a peaceful coexistence with humans.

Living with wolves

We started genetic counting of wolves in Slovenia in 2010, and have been working continuously on it ever since. Today we practically know the name and family name of every wolf in Slovenia. There are over 100 wolves in Slovenia at the moment, and the population has been growing and spreading over the last several decades. Some of our wolves have been dispersing to the neighboring countries, such as Italy (many people have already heard of our legendary wolf Slavc that traveled 2000 km to settle down on the other side of the Alps). We know that two of his sons returned to Slovenia; one of them started his own thriving pack in the Alps, near the lakes Bohinj and Bled. So, the wolves are a success story from Natures point of view. Like bears, they are opportunists – they turn to easy prey, such as unprotected sheep rather than go through the trouble of hunting wild animals that run away. They are ecologically a very plastic species, that’s their secret. They can survive almost everywhere; they eat whatever there is and they are also very smart. That’s why livestock breeders don’t like them – wolves can be very unpleasant neighbors, not easily outsmarted.
Peoples’ negative attitudes towards wolves are also amplified by misconceptions. One of the common ones is belief that wolves are very bloodthirsty animals – when they get a chance to kill, they’ll do it just for fun. Of course, that is not true. Wolves have evolved with prey that can run very fast or even fight back and wolves really have to put a huge effort into hunting their next meal. It takes a lot of their energy, so whenever they get a chance for an easy kill, they take it. It is called “surplus killing” and it often takes place when a wolf breaks into a sheepfold. Of course, when people find as many as forty sheep slaughtered, they imagine a raging pack of bloodthirsty animals, while in fact, it could have been just one hungry wolf grabbing a chance to ensure more than just one meal for itself and its family. This knowledge doesn’t help the farmer who lost his sheep, bit it helps to change the larger publics perspective on wolves and in finding suitable solutions to preventing damages in agriculture.

In the Dinaric part of Slovenia, we have started implementing protection measures such as livestock guarding dogs and electric fences in 2010, and it has been a great success – the number of damages immediately dropped significantly. A good indicator of the success of those measures is the fact that today we have less damage from wolves then in 2010, while the number of wolves has increased three times! Of course, the damages will never come to zero – as long as we have large carnivores and livestock living in the same area, some damages are inevitable, but as long as we manage to keep the damages at an acceptable rate, the coexistence should be possible.

In the Alps the landscape configuration is different, which makes the feasibility of using  electric fences questionable. That leaves us with the use of shepherds and livestock guarding dogs, with the latter posing another problem: they can be a threat to mountaineers that “invade” Slovenian Alps in large numbers during weekends and holydays. There are attempts to copy some experiences from other parts of the Alps, which are neither simple, nor cheap. So far, the best results have been achieved with having shepherds accompany the livestock at all times. Of course, the shepherds need to get paid and they need shelters in the mountains, so the whole system is not economically sustainable and needs financial support. We hope we’ll come up with some sustainable solution, to have our “wolves full, and our sheep whole”.

The conflict between people and wolves has been with us forever, and is going to stay with us for as long as both species are around. For the survival of wolves as a species it is crucial to come up with a good set of management rules and protection measures that will make this conflict tolerable and the coexistence sustainable. We should not be focused on the survival of each individual animal, thus creating an even deeper conflict, but rather on achieving a balance between people and wolves.

Life Lynx

Lynx differs from the other two large carnivore species by its vulnerability. It is not an opportunist, it cannot eat whatever it finds, and it is territorial which means that one lynx excludes others from its territory. That’s why it needs a  big territory with suitable prey for survival, and that’s why it already once became extinct in our parts. Lynx is an ecological specialist, and in our landscapes cannot survive on prey other than medium-sized ungulates. For its way of life, it needs vast, healthy wild habitats.,  

An important scientific breakthrough was in our research of lynx genetics – through the DinaRis Interreg project. In a research done in tight collaboration between Slovenian and Croatian researchers, we found genetic deterioration and critical  levels of inbreeding in our lynx population, which provided scientific foundation for a new project – Life Lynx with the purpose of reinforcing our inbred and declining lynx population with “fresh” genetic material from Carpathian Mountains.

The Life Lynx project is specifically aimed at helping lynx survive – we are literarily saving the population. We know that without our efforts, our lynx population would almost certainly go extinct. In the first phase of the project we investigated the current state, the “baseline” of our Dinaric lynx population, to know exactly where we are. And it didn’t look good. In the second phase we introduced new animals with fresh genetic material to our population and are now monitoring the process of their settlement and gathering experience on this kind of “population improvement”. The project is going very well so far, some of our new males already have offspring and we are starting to build hopes for the success of the third phase. The idea for the third phase of the project is to make a long-term plan for keeping the population healthy and stable. It is still too early to make predictions about the success of the project, but we are doing our best, taking one step at the time.